# Input
Record 1
Below is an optimized crystal structure of Li6MnV3P6O24, with properties calculated at the PBE with a Hubbard U level.

Summary:
V in Å³ per cell: 1729.10
Energy relative to the lowest polymorph listed for this composition in meV per atom: 36

Cell and atoms, written as CIF:
```
data_Li6MnV3P6O24
_symmetry_space_group_name_H-M 'C 1 2 1'
_symmetry_Int_Tables_number 5
_cell_length_a 11.7119
_cell_length_b 12.7158
_cell_length_c 12.7096
_cell_angle_alpha 90.00
_cell_angle_beta 114.00
_cell_angle_gamma 90.00
loop_
_symmetry_equiv_pos_as_xyz
'x,y,z'
'-x,y,-z'
'x+1/2,y+1/2,z'
'-x+1/2,y+1/2,-z'
loop_
_atom_site_label
_atom_site_type_symbol
_atom_site_fract_x
_atom_site_fract_y
_atom_site_fract_z
_atom_site_occupancy
Li1 Li 0.0000 0.0000 0.0000 1
Li2 Li 0.0000 0.0010 0.5000 1
Li3 Li 0.0001 0.2128 0.1269 1
Li4 Li 0.0000 0.7089 0.5000 1
Li5 Li 0.0000 0.7143 0.0000 1
Li6 Li 0.0009 0.2131 0.6246 1
Li7 Li 0.0016 0.4241 0.2513 1
Li8 Li 0.0038 0.7164 0.2501 1
Mn1 Mn 0.2156 0.5544 0.1905 1
V1 V 0.2178 0.8733 0.9452 1
V2 V 0.2177 0.8744 0.4460 1
V3 V 0.2190 0.5517 0.6943 1
P1 P 0.0000 0.4255 0.5000 1
P2 P 0.0000 0.4260 0.0000 1
P3 P 0.0022 0.9997 0.7500 1
P4 P 0.2343 0.8166 0.1926 1
P5 P 0.2365 0.8108 0.6929 1
P6 P 0.2384 0.6123 0.4411 1
P7 P 0.2376 0.6126 0.9442 1
O1 O 0.0427 0.9293 0.3590 1
O2 O 0.0435 0.9302 0.8593 1
O3 O 0.0443 0.4957 0.6090 1
O4 O 0.0462 0.4959 0.1104 1
O5 O 0.0974 0.0774 0.2431 1
O6 O 0.0984 0.3509 0.9880 1
O7 O 0.0996 0.3494 0.4908 1
O8 O 0.1035 0.0744 0.7408 1
O9 O 0.1233 0.1328 0.5240 1
O10 O 0.1242 0.1334 0.0217 1
O11 O 0.1246 0.2921 0.2733 1
O12 O 0.1281 0.2924 0.7737 1
O13 O 0.1478 0.7191 0.1764 1
O14 O 0.1550 0.7085 0.6730 1
O15 O 0.1560 0.7133 0.9319 1
O16 O 0.1567 0.7135 0.4271 1
O17 O 0.1755 0.5511 0.3247 1
O18 O 0.1754 0.5507 0.8294 1
O19 O 0.1754 0.8764 0.5801 1
O20 O 0.1754 0.8814 0.0790 1
O21 O 0.2205 0.8781 0.7891 1
O22 O 0.2242 0.5372 0.0388 1
O23 O 0.2235 0.5379 0.5347 1
O24 O 0.2241 0.8905 0.2887 1
```


Record 2
Below is an optimized crystal structure of Li2MnVP4O14, with properties calculated at the PBE with a Hubbard U level.

Summary:
V in Å³ per cell: 538.16
Energy relative to the lowest polymorph listed for this composition in meV per atom: 12

Cell and atoms, written as CIF:
```
data_Li2MnVP4O14
_symmetry_space_group_name_H-M 'P 1'
_symmetry_Int_Tables_number 1
_cell_length_a 7.1581
_cell_length_b 9.6115
_cell_length_c 9.6149
_cell_angle_alpha 119.31
_cell_angle_beta 100.49
_cell_angle_gamma 100.46
loop_
_symmetry_equiv_pos_as_xyz
'x,y,z'
loop_
_atom_site_label
_atom_site_type_symbol
_atom_site_fract_x
_atom_site_fract_y
_atom_site_fract_z
_atom_site_occupancy
Li1 Li 0.0000 0.0000 0.0000 1
Li2 Li 0.0007 0.5034 0.5034 1
Li3 Li 0.3492 0.7513 0.2511 1
Li4 Li 0.3509 0.2503 0.7510 1
Mn1 Mn 0.4057 0.0786 0.9418 1
Mn2 Mn 0.9449 0.8128 0.1746 1
V1 V 0.4025 0.5765 0.4376 1
V2 V 0.9467 0.3129 0.6749 1
P1 P 0.1520 0.3490 0.0303 1
P2 P 0.1583 0.8514 0.5341 1
P3 P 0.1934 0.7199 0.9022 1
P4 P 0.1967 0.2196 0.4016 1
P5 P 0.5859 0.7765 0.8516 1
P6 P 0.5886 0.2752 0.3523 1
P7 P 0.7621 0.4036 0.9769 1
P8 P 0.7634 0.8981 0.4764 1
O1 O 0.0668 0.0534 0.2382 1
O2 O 0.0707 0.5507 0.7381 1
O3 O 0.1559 0.7336 0.0607 1
O4 O 0.1575 0.2371 0.5604 1
O5 O 0.1673 0.3620 0.8805 1
O6 O 0.1699 0.8654 0.8862 1
O7 O 0.1802 0.8686 0.3885 1
O8 O 0.1816 0.3704 0.3886 1
O9 O 0.1929 0.1918 0.0160 1
O10 O 0.1928 0.6915 0.5163 1
O11 O 0.2794 0.5130 0.1971 1
O12 O 0.2843 0.0150 0.7032 1
O13 O 0.4259 0.7262 0.9326 1
O14 O 0.4273 0.2240 0.4327 1
O15 O 0.5212 0.6325 0.6672 1
O16 O 0.5307 0.1316 0.1686 1
O17 O 0.5608 0.3041 0.9607 1
O18 O 0.5632 0.7937 0.4611 1
O19 O 0.5862 0.9453 0.8701 1
O20 O 0.5911 0.4430 0.3715 1
O21 O 0.7596 0.8794 0.3071 1
O22 O 0.7625 0.3840 0.8082 1
O23 O 0.7873 0.7916 0.9503 1
O24 O 0.7885 0.2918 0.4572 1
O25 O 0.8220 0.0814 0.6172 1
O26 O 0.8251 0.5878 0.1219 1
O27 O 0.9212 0.3204 0.0271 1
O28 O 0.9255 0.8200 0.5274 1
```


Record 3

# To do
Work out how many lines earlier on have the word "O1" in them; a number is enough.

# Written answer
2